By Titus Boye-Thompson, London


“Uneasy lies the head that wears the crown.” The basic principle of leadership in any institution is an ideal to reflect on the question of “who benefits,” as a measure of focus that the leader brings to the effort to achieve the stated objectives of his team. While considering that leadership ignites the concept of teamwork and numbers, it also raises the vexed question of who stand to gain if things go right or for that matter, who is to blame if things go wrong. So leadership of itself is not a self-defining term nor is it meant to be self-serving in its execution. The leader works to ensure that the team gets the best results from its efforts and anything less is undeserving.

In the All People’s Congress (APC), leadership is currently a misnomer and the now unduly extravagant attempts to self-define the term within the ambit of the APC party is causing a problem that is at risk of taking the party on a whirlwind of internal struggles and self-destruction. In such a scenario, it would be difficult to see everyone wining when all are fighting to the end point of self-destruction. This will eventually become an implosion.

To explain things further, the term “self-definition” here refers to the abhorrent situation wherein a bounty of stakeholders lay claim to leadership of the APC, mostly by membership of various bodies viz executive, NAC, former flagbearers, Big Six, Team A, etc. In all of the destructive contagion that has categorized the APC “leadership” in the most recent past, none is more virulent as the tendency to impose faceless armies of so-called “social media bloggers” to lead a campaign of calumny based on disinformation and misinformation as a foundation for manipulating the entire political landscape, to defile and malign the names and characters of those who may have done so much more to raise the game while others simply rely on veiled immoral misconstructions and misconceptions in order to waylay the body politic.

These observations are being highlighted here so that one can throw light on the intractable reasons why the APC Executive has failed on its mandate to secure and hold power by democratic means. It has failed to lead from the front, to protect the interests of democracy that the people who voted it into office in 2022 had been assured, it failed to secure the votes of the people which said votes were not properly tallied and accounted for during the 2023 elections, it failed to provide a robust strategy to hold the Sierra Leone People’s Party (SLPP) and its government to account after the events of the 2023 elections, it has failed to provide comprehensive leverage to the Agreement for National Unity (ANU) superintended by the Commonwealth Secretariat together with the International Community of Moral Guarantors led by the ECOWAS, AU, UNOWAS, and signed by the erstwhile flagbearer of the APC and the Chief Minister of the SLPP Government and which agreement gave assurances of certain rights and freedoms such as ending politically motivated trials of APC Members, the right  of APC operatives to return, free from undue harassment and political intimidation, and the release of political prisoners.

== These records of crystals were left in the text by mistake ==
<<<
PBE Li5La3Nb2O12, relaxed; excess energy over the best structure of this formula in the dataset = 0.0020 eV/atom; formation enthalpy at 0 K = -3093 meV/atom; electronic total energy = -7.442 eV/atom; magnetization = 0.00 μB/cell; space-group type = No. 9
1.0
9.042 -6.487 0.000
9.042 6.487 0.000
-9.018 0.000 9.132
Li La Nb O
20 12 8 48
direct
0.069 0.931 0.500
0.085 0.325 0.317
0.131 0.779 0.257
0.176 0.957 0.177
0.208 0.355 0.779
0.277 0.640 0.029
0.325 0.085 0.817
0.355 0.208 0.279
0.400 0.557 0.845
0.462 0.674 0.317
0.557 0.400 0.345
0.594 0.810 0.951
0.640 0.277 0.529
0.645 0.991 0.873
0.674 0.462 0.817
0.779 0.131 0.757
0.810 0.594 0.451
0.931 0.069 0.000
0.957 0.176 0.677
0.991 0.645 0.373
0.002 0.510 0.936
0.011 0.753 0.807
0.134 0.139 0.445
0.139 0.134 0.945
0.257 0.516 0.316
0.257 0.756 0.689
0.510 0.002 0.436
0.516 0.257 0.816
0.639 0.640 0.179
0.640 0.639 0.679
0.753 0.011 0.307
0.756 0.257 0.189
0.382 0.387 0.566
0.384 0.893 0.066
0.387 0.382 0.066
0.389 0.887 0.567
0.880 0.889 0.568
0.887 0.389 0.067
0.889 0.880 0.068
0.893 0.384 0.566
0.005 0.558 0.157
0.060 0.500 0.773
0.068 0.768 0.055
0.081 0.293 0.149
0.082 0.985 0.682
0.186 0.979 0.045
0.193 0.284 0.887
0.207 0.773 0.477
0.212 0.502 0.477
0.269 0.714 0.873
0.273 0.561 0.141
0.284 0.193 0.387
0.293 0.081 0.649
0.300 0.910 0.390
0.311 0.361 0.664
0.352 0.966 0.943
0.361 0.311 0.164
0.405 0.470 0.968
0.414 0.799 0.181
0.465 0.683 0.472
0.470 0.405 0.468
0.476 0.584 0.743
0.476 0.859 0.740
0.500 0.060 0.273
0.502 0.212 0.977
0.558 0.005 0.657
0.561 0.273 0.641
0.582 0.804 0.091
0.584 0.476 0.243
0.683 0.465 0.972
0.687 0.784 0.437
0.713 0.996 0.083
0.714 0.269 0.373
0.768 0.068 0.555
0.773 0.207 0.977
0.784 0.687 0.937
0.799 0.414 0.681
0.804 0.582 0.591
0.819 0.871 0.879
0.859 0.476 0.240
0.871 0.819 0.379
0.910 0.300 0.890
0.919 0.974 0.773
0.966 0.352 0.443
0.974 0.919 0.273
0.979 0.186 0.545
0.985 0.082 0.182
0.996 0.713 0.583

* * * * *

The following is a GGA+U calculation of a geometry-optimized MnH44C12N8Cl2O10 structure, from Materials Project.

Summary:
total energy: -5.516 eV per atom
V: 9.76 A^3/atom
E_form: -0.57 eV/atom

Lattice parameters (Å, degrees): 9.559 9.658 9.732 119.66 105.19 86.08
Fractional positions:
1 Mn 0.500 0.000 0.500
2 H 0.712 0.756 0.402
3 H 0.288 0.244 0.598
4 H 0.631 0.777 0.248
5 H 0.369 0.223 0.752
6 H 0.627 0.946 0.770
7 H 0.373 0.054 0.230
8 H 0.692 0.120 0.827
9 H 0.308 0.880 0.173
10 H 0.694 0.190 0.453
11 H 0.306 0.810 0.547
12 H 0.635 0.310 0.606
13 H 0.365 0.690 0.394
14 H 0.799 0.268 0.095
15 H 0.201 0.732 0.905
16 H 0.909 0.276 0.004
17 H 0.091 0.724 0.996
18 H 0.836 0.529 0.408
19 H 0.164 0.471 0.592
20 H 0.948 0.680 0.519
21 H 0.052 0.320 0.481
22 H 0.651 0.957 0.089
23 H 0.349 0.043 0.911
24 H 0.493 0.824 0.949
25 H 0.507 0.176 0.051
26 H 0.651 0.469 0.945
27 H 0.349 0.531 0.055
28 H 0.493 0.547 0.867
29 H 0.507 0.453 0.133
30 H 0.660 0.617 0.609
31 H 0.340 0.383 0.391
32 H 0.498 0.632 0.675
33 H 0.502 0.368 0.325
>>>
== Back to the text ==

Furthermore the APC executive has failed to censure the SLPP Government for the disappearance of its members on the list of political prisoners; and it is now failing woefully to uphold the call for “electoral justice” that the flagbearer of the party, Dr Samura Kamara, has identified as the next steps after the report of the Committee on Electoral Systems and Management Bodies Review (the Tripartite Report) has been published.

These failures can only be put to an end by the pursuit of an accountable leadership and not by seeking the pecuniary interests of a few. To paraphrase an old dictum, “The heights of great men, reached and kept, were not attained by sudden flight!”